EU strengthens partnership with WHO to boost local manufacturing and access to vaccines, medicines and health technologies in Africa

By European Commission

EU strengthens partnership with WHO to boost local manufacturing and access to vaccines, medicines and health technologies in Africa

The Commission and the World Health Organization (WHO) are strengthening their partnership to improve equitable access to safe, effective, and quality-assured vaccines, medicines, and health technologies in Sub-Saharan Africa, Commissioner for International Partnerships Jutta Urpilainen and WHO Director-General Dr. Tedros Adhanom Ghebreyesus announced in Geneva.

Commissioner Urpilainen said: “The European Union and WHO share a common ambition to boost local production capacity and access to quality, safe, effective and –importantly – affordable medicines and vaccines. Under the Team Europe initiative for local manufacturing in Africa with Dr. Tedros we agreed on stepping up support to our African partners in tackling some of the main barriers to access and availability, with concrete projects financed with at least €24.5 million from the EU budget. Together, we are strengthening the foundations of resilient health systems, universal health coverage, and health security for now and in the future.”

'''
Entry 1:
An isolated molecule of C2H6N2, computed with the ωB97M-V functional and the def2-TZVPD basis.

Last column: natural (NBO) charge in e.
Positions of all 10 atoms, in Å:
N1 0.548693 -0.007040 0.198788  -0.63
N2 -0.881264 -1.628281 1.170334  -0.77
C1 -0.690073 -0.461990 0.689540  0.33
C2 0.380330 0.941312 -0.904760  -0.43
H1 1.249319 0.912417 -1.574972  0.21
H2 1.122701 -0.806971 -0.017342  0.38
H3 -1.500876 0.261864 0.762914  0.16
H4 -0.453030 0.758872 -1.594134  0.19
H5 -0.139502 -1.934239 1.797261  0.36
H6 0.363702 1.964056 -0.527632  0.20

Atomic forces in eV per Å
-1.6708 0.2876 -0.0340
-1.0098 1.1487 1.6574
1.4009 -1.0344 0.5092
1.1372 0.5034 -0.6447
0.0553 -0.1323 0.3798
0.1201 0.0602 -0.0777
-0.1377 0.1023 -1.1117
-0.2146 -0.1053 0.5301
0.6444 -0.8023 -1.1934
-0.3251 -0.0279 -0.0149

Computed properties:
SMILES string	[H]/N=C\NC
total charge	0
molecular weight	58.08	Da
E_tot	-189.26423	Ha
energy above the lowest of the compared OMol25 structures with the same formula, charge and spin	41.0	kcal per mole

---

Entry 2:
An isolated molecule of Br3HOSi, computed with the ωB97M-V functional and the def2-TZVPD basis.

Last column: natural (NBO) charge in e.
Positions of all 6 atoms, in Å:
Br1 -0.490158 0.851352 2.038077  -0.25
Br2 -1.106320 -2.092278 0.154114  -0.26
Br3 -1.331822 1.055264 -1.264613  -0.30
Si1 -0.144412 -0.139622 0.171916  1.37
O1 1.425679 -0.219509 -0.284645  -1.07
H1 1.647034 0.544795 -0.814850  0.51

Atomic forces in eV per Å
0.1430 0.2763 1.0148
0.2238 -0.3599 0.1550
0.2001 0.1401 -0.2898
-0.2522 -0.1432 -0.9551
-0.7361 -0.2159 0.3767
0.4214 0.3026 -0.3016

Computed properties:
SMILES string	O[Si](Br)(Br)Br
total charge	0
molecular weight	284.81	Da
E_tot	-8087.56940	Ha
energy above the lowest of the compared OMol25 structures with the same formula, charge and spin	2.7	kcal per mole

---

Entry 3:
A structure of composition C19H35BBr8N3O4, computed with the ωB97M-V functional and the def2-TZVPD basis.

Last column: natural (NBO) charge in e.
Positions of all 70 atoms, in Å:
Br1 0.483932 -2.437444 -3.097421  -0.02
Br2 -4.402262 -1.824794 -3.877767  -0.03
Br3 -0.575494 -6.626217 -1.847288  -0.01
Br4 0.664553 -6.954573 1.607819  -0.02
Br5 2.231550 2.984760 3.670233  0.02
Br6 1.752270 1.171725 6.853001  -0.01
Br7 -2.340855 1.228428 -4.037078  0.04
Br8 0.858704 -2.697216 0.578366  -0.05
O1 -1.009840 -0.198169 -0.664181  -0.90
O2 1.742478 1.244139 -2.286481  -0.37
O3 0.028962 0.144005 2.406694  -0.73
O4 1.317747 3.327244 -2.923743  -0.48
N1 -2.322934 1.667346 -1.686476  -0.79
N2 0.174425 3.336413 2.181414  -0.50
N3 2.437926 0.721879 -1.186007  -0.53
C1 1.977818 -3.094895 -2.038125  -0.44
C2 -0.614248 2.457285 1.459120  0.37
C3 1.500519 -3.877696 -0.844171  -0.44
C4 2.113479 5.068234 2.594381  -0.65
C5 -1.799427 1.820089 2.245297  -0.50
C6 -1.978408 2.975829 -2.360755  -0.50
C7 -1.221499 0.511698 3.003699  -0.06
C8 -0.266741 2.200265 0.049973  -0.42
C9 0.096951 -8.195143 -0.908040  -0.44
'''
_Here the entry continues_

The EU–WHO partnership will assist the African Union in reaching its target of increasing local vaccine production, in Africa and for Africa. It will also support the achievement of African Union objectives in areas such as jobs and growth, trade, and scientific cooperation.

The financial contribution of €24.5 million from the EU supports three main categories of action: regulatory strengthening (€11.5 million), technology transfer (€12 million), and demand consolidation and strategic purchasing (€1 million).

Technology transfer: WHO is facilitating technology transfer for local production in Sub-Saharan Africa, in close cooperation with national, continental, and global stakeholders (COVAX Manufacturing Task Force). The EU will support the mRNA technology transfer hub in South Africa, technology transfer across the region, and the development of the workforce. Total EU and Member States’ support to the hub reaches €40 million.

**Next to the text, the page also holds quantum chemistry results:**
~~~
ORCA calculation (ωB97M-V/def2-TZVPD) on a 6-piece molecular cluster, C50H102FN5O14 overall at a distorted geometry.

The calculation puts the gap between HOMO and LUMO at 6.99 eV. As for the SMILES: C=CC1=C(CCCCCC)C(=O)C(CCCF)=C(CCOC=O)C1=O.COCCNCCOC.COCCNCCOC.COCCNCCOC.COCCNCCOC.COCCNCCOC. The value obtained for the total energy is -3392.93067 hartree. The LUMO energy is -0.84 eV. Its spin multiplicity is 1. Its highest occupied orbital energy is -7.82 eV.

Each line ends with the Löwdin charge.
Positions of all 172 atoms, in Å:
F (-4.16, 3.58, -1.74)  -0.05
O (1.50, -6.69, -0.97)  -0.19
O (1.79, 1.14, -0.88)  0.13
O (6.27, 9.98, -6.40)  -0.19
O (5.73, 0.44, 0.99)  -0.20
O (-7.54, -9.85, -1.15)  -0.18
O (-1.20, 5.44, 1.99)  -0.03
O (-4.40, 0.40, 1.15)  -0.20
O (8.73, -2.65, 2.40)  -0.19
O (-6.83, -6.11, 1.27)  -0.21
O (0.53, 3.28, 3.37)  0.14
O (-0.48, 7.39, 2.70)  0.12
O (2.72, 8.48, -4.02)  -0.20
O (-3.35, -3.71, 2.65)  -0.20
O (-2.03, -8.49, 1.23)  -0.18
N (-1.48, -6.55, -1.20)  -0.05
N (3.67, 8.64, -7.03)  -0.05
N (-4.86, -1.37, 3.72)  -0.05
N (-8.95, -8.22, 1.16)  -0.05
N (6.13, -1.57, 3.40)  -0.05
C (-3.30, 2.51, -1.60)  -0.22
C (1.64, -7.66, -1.98)  -0.11
C (2.33, 8.44, -6.47)  -0.20
C (-1.01, 6.39, 2.94)  -0.38
C (3.89, 2.80, -0.04)  -0.14
C (-7.95, -10.34, 0.11)  -0.23
C (7.74, -3.40, 3.10)  -0.21
C (3.12, 4.20, 2.48)  -0.09
C (2.01, 9.05, -5.11)  -0.22
C (-3.60, -0.72, 0.82)  -0.09
C (-1.80, 2.93, -1.67)  -0.14
C (-2.69, -6.75, -0.40)  -0.19
C (7.02, 8.78, -6.44)  -0.11
C (0.76, -5.54, -1.37)  -0.21
C (2.95, 4.71, 3.73)  0.05
C (4.03, 8.97, -3.83)  -0.09
C (-1.82, 3.11, 1.61)  -0.06
C (2.16, 3.40, 1.73)  -0.09
C (-5.56, -0.17, 3.26)  -0.19
C (4.34, 4.15, -0.66)  -0.18
C (3.11, 6.33, -1.32)  -0.20
C (-7.57, -6.59, 2.39)  -0.22
C (0.74, 3.19, 2.21)  -0.28
C (-4.49, -3.79, 3.50)  -0.20
C (4.82, -0.55, 1.44)  -0.21
C (5.49, 10.21, -7.56)  -0.21
C (-2.00, 4.36, 2.53)  -0.16
C (7.03, -0.03, 0.69)  -0.09
C (0.92, 6.97, -0.15)  -0.11
C (1.63, 6.79, -1.52)  -0.24
C (4.01, 10.04, -7.28)  -0.21
C (-7.56, -5.19, 0.47)  -0.11
C (-0.37, 2.85, 1.25)  -0.07
C (-2.15, -3.39, 3.33)  -0.11
C (-5.44, -2.63, 3.25)  -0.21
C (2.51, 2.79, 0.59)  -0.09
C (9.52, -1.82, 3.22)  -0.11
C (-5.64, 0.09, 1.76)  -0.22
C (4.92, -0.89, 2.93)  -0.19
C (-0.03, 2.27, 0.11)  -0.07
C (-9.14, -9.60, 0.73)  -0.20
C (-2.54, -7.18, 1.06)  -0.22
C (3.31, 4.81, -1.62)  -0.16
C (-0.98, 1.80, -0.98)  -0.11
C (-6.69, -8.72, -1.11)  -0.10
C (6.34, -2.88, 2.81)  -0.21
C (-0.60, -5.50, -0.69)  -0.21
C (-7.94, -8.05, 2.21)  -0.21
C (1.44, 2.00, -0.14)  -0.30
C (-0.62, -8.61, 1.15)  -0.10
H (4.01, 2.04, -0.82)  0.12
H (-8.34, -5.71, -0.11)  0.08
H (0.70, -8.20, -2.16)  0.08
H (-4.21, -3.86, 4.56)  0.13
H (0.67, -5.47, -2.46)  0.12
H (2.38, -8.39, -1.64)  0.09
H (7.73, 8.80, -5.60)  0.09
H (-0.17, 6.90, -0.25)  0.06
H (-6.27, 0.98, 1.62)  0.12
H (-7.27, -7.80, -1.13)  0.07
H (7.46, 0.64, -0.06)  0.09
H (1.59, 8.78, -7.20)  0.12
H (-5.64, -2.60, 2.18)  0.10
H (2.12, 10.14, -5.10)  0.11
~~~

Regulatory strengthening: The EU and WHO will support African partners, at national, regional, and continental levels in strengthening regulatory frameworks and functions. This is part of a broader package of support for regulatory strengthening to create an enabling and innovative environment for the local manufacturing of vaccines, medicines, and health technologies. This will reinforce the African Medicines Regulatory Harmonization (AMRH) initiative and the African Medicines Agency.

+++
Record 1
{"formula": "C4H10O2S", "method": "the ωB97M-V functional and the def2-TZVPD basis", "smiles": "O=CCCCS.O", "lumo_ev": 0.3, "orbital_gap_ev": 9.22, "energy_ha": -707.03777, "fmax_ev_per_a": 2.17, "relative_energy_kj_mol": 146.0, "multiplicity": 1, "elements": ["O", "C", "C", "C", "C", "S", "H", "H", "H", "H", "H", "H", "H", "H", "O", "H", "H"], "coordinates": [[-3.61397, 0.40203, 0.62869], [-2.88077, -0.17767, -0.12168], [-1.52655, -0.74831, 0.31244], [-0.39038, 0.26515, 0.30304], [0.95225, -0.37670, 0.63203], [2.33797, 0.81685, 0.79566], [-3.15864, -0.50991, -1.14257], [-1.31606, -1.38773, -0.56129], [-1.63122, -1.42233, 1.15978], [-0.32323, 0.70899, -0.69644], [-0.61421, 1.08984, 0.94390], [1.21362, -1.11244, -0.11385], [0.81353, -0.73544, 1.65111], [3.09218, 0.11423, -0.05496], [1.62557, -0.51529, -2.51962], [0.73677, -0.42574, -2.88844], [1.91159, -1.40502, -2.75206]]}

Record 2
+++

Demand consolidation: The EU and WHO will assist African leaders and communities in defragmenting demand and better forecasting needs, thus enhancing markets for locally produced commodities.

The EU also fosters its engagement with OHCHR in advancing human rights

On the occasion of her mission to Geneva, Commissioner Urpilainen also announced support worth €14.4 million over three years (2022–2024) to the Office of the High Commissioner for Human Rights (OHCHR).

These funds will support the Office Management Plan of OHCHR and are part of the EU’s contribution to rules-based multilateralism. The EU priorities for the protection and promotion of human rights are spelled out in the EU Action Plan on Human Rights and Democracy 2020–2024 and translated into the new Human Rights and Democracy Programme under Global Europe.

Human rights are at the heart of the EU’s foreign policy, and OHCHR is a key actor and a privileged partner for the Union in strengthening rules-based multilateralism.